Raqqa: US-backed forces declare ‘total liberation’ of ISIS stronghold

The SDF says the rooms on the lower stadium level have not yet been cleared and may be booby-trapped with explosive devices.

US-backed militias on Friday declared the “total liberation” of the Syrian city of Raqqa, which for more than three years was the de facto capital of ISIS.

Speaking at a ceremony held to celebrate the capture of Raqqa, Syrian Democratic Forces spokesman Talal Silo claimed a “historic victory” over ISIS and said the extremist group had suffered a “brutal” defeat.

He paid tribute to all those killed and injured in the struggle, as well as all the Syrian factions that battled for 130 days to force ISIS from its key Syrian stronghold and their international backers.

Silo said control of the city would be handed over to civilian leaders once clearing operations were completed and that the SDF would guarantee the protection of the city and its province.

“The future of Raqqa will be decided by its people,” Silo said, as he urged the international community to support their rebuilding efforts.

A daunting task lies ahead of Raqqa’s recently created civilian council, made up of local citizens, as they seek to restore the devastated city.

The ceremony was held in the same dusty Raqqa stadium where ISIS fighters made their last stand earlier this week.

SDF commanders told CNN that the choice of location was intended to add insult to injury following the extremist group’s defeat there.

Local officials, dignitaries and tribal chiefs from Raqqa and neighboring towns and cities were among those to attend, alongside members of the Syrian Democratic Council, which is tasked with helping to rebuild the city.

Footage from the former soccer stadium showed jubilant SDF fighters dancing hand-in-hand to music pumping from loudspeakers as they gathered ahead of the ceremony.

Prison cells

The SDF believe ISIS held many detainees within the stadium, the group’s biggest prison in the city, SDF chief press officer Mustafa Bali said. The SDF had hoped to find around 300 “missing” Kurds when the stadium was seized from ISIS control but they were not there, he said.

ISIS turned the changing and locker rooms on the lower level of the stadium into prison cells and interrogation rooms, Bali said.

On the lower level, CNN saw room after room with holes punched through the walls to create a kind of “rat run,” through which ISIS fighters could move. A number of rooms appeared to have been used as cells. Some had what the SDF said were detainees’ names, with dates next to them, written on the walls.

The rooms on the lower levels have not yet been fully cleared and may still be rigged with homemade explosive devices, the SDF said. Large numbers of flies buzzed around the stadium, possibly drawn by the presence of corpses lying undiscovered under the rubble.

A few ISIS fighters are believed still to be at large in the network of tunnels that ISIS dug under the city.

It could take months to clear the city of explosives, one Kurdish commander, Rojda Falat, told CNN.

Residents are being told to stay away from Raqqa for now, until landmines and booby traps — found in many of the towns and cities ISIS has fled — are removed. Many are living in overcrowded refugee camps as they wait to return home.

Tillerson: ‘Critical milestone’

The US-led coalition lauded the SDF’s seizure of the city in a statement Friday.

_Between two parts of the entry: materials data_
/*
DFT (PBE) results for an optimized crystal structure of ZrSbO3.

Summary:
- raw formation energy (kJ/mol of atoms) = -182
- mass density (kg/m3) = 5886
- raw total energy (eV per atom) = -7.398

Unit cell a=4.1914 b=4.1914 c=4.1914 alpha=90.00 beta=90.00 gamma=90.00
Element x y z (fractional)
Zr1 0.0000 0.0000 0.0000
Sb1 0.5000 0.5000 0.5000
O1 0.0000 0.0000 0.5000
O2 0.0000 0.5000 0.0000
O3 0.5000 0.0000 0.0000

---

DFT (PBE) results for an optimized crystal structure of ZrSb2O.

Summary:
- raw formation energy (kJ/mol of atoms) = -29
- mass density (kg/m3) = 6981
- raw total energy (eV per atom) = -5.740

Unit cell a=6.0082 b=6.0082 c=6.0082 alpha=110.25 beta=110.25 gamma=107.93
Element x y z (fractional)
Zr1 0.0000 0.0000 0.0000
Zr2 0.7500 0.2500 0.5000
Sb1 0.2115 0.6250 0.0865
Sb2 0.3750 0.4615 0.5865
Sb3 0.5385 0.1250 0.9135
Sb4 0.8750 0.7885 0.4135
O1 0.2500 0.7500 0.5000
O2 0.5000 0.5000 0.0000

---

DFT (PBE) results for an optimized crystal structure of Zr2SbO.

Summary:
- raw formation energy (kJ/mol of atoms) = -127
- offset from the most stable computed form (meV per atom) = 0.0
- mass density (kg/m3) = 7340
- raw total energy (eV per atom) = -7.856

Unit cell a=6.8967 b=6.8967 c=6.8967 alpha=29.96 beta=29.96 gamma=29.96
Element x y z (fractional)
Zr1 0.2226 0.2226 0.2226
Zr2 0.7774 0.7774 0.7774
Sb1 0.0000 0.0000 0.0000
O1 0.5000 0.5000 0.5000

---

DFT (PBE) results for an optimized crystal structure of Zr2SbO.

Summary:
- raw formation energy (kJ/mol of atoms) = -70
- offset from the most stable computed form (meV per atom) = 590.3
- mass density (kg/m3) = 7165
- raw total energy (eV per atom) = -7.265

Unit cell a=4.7170 b=4.7170 c=4.7170 alpha=60.00 beta=60.00 gamma=60.00
Element x y z (fractional)
Zr1 0.2500 0.2500 0.2500
Zr2 0.7500 0.7500 0.7500
Sb1 0.0000 0.0000 0.0000
O1 0.5000 0.5000 0.5000

---

DFT (PBE) results for an optimized crystal structure of ScO.

Summary:
- raw formation energy (kJ/mol of atoms) = -278
- mass density (kg/m3) = 3029
- raw total energy (eV per atom) = -8.525

Unit cell a=8.0763 b=8.0763 c=3.5488 alpha=90.00 beta=90.00 gamma=120.00
Element x y z (fractional)
Sc1 0.1252 0.6854 0.2500
Sc2 0.3146 0.4398 0.2500
Sc3 0.4398 0.1252 0.7500
Sc4 0.5602 0.8748 0.2500
Sc5 0.6854 0.5602 0.7500
Sc6 0.8748 0.3146 0.7500
O1 0.0311 0.3719 0.2500
O2 0.3408 0.9689 0.2500
O3 0.3719 0.3408 0.7500
O4 0.6281 0.6592 0.2500
O5 0.6592 0.0311 0.7500
O6 0.9689 0.6281 0.7500

---

DFT (PBE) results for an optimized crystal structure of Sc2O3.

Summary:
- raw formation energy (kJ/mol of atoms) = -339
- mass density (kg/m3) = 3832
- raw total energy (eV per atom) = -9.018

Unit cell a=5.6977 b=5.6977 c=5.6977 alpha=56.28 beta=56.28 gamma=56.28
Element x y z (fractional)
Sc1 0.1440 0.1440 0.1440
Sc2 0.3560 0.3560 0.3560
Sc3 0.6440 0.6440 0.6440
Sc4 0.8560 0.8560 0.8560
O1 0.0497 0.7500 0.4503
O2 0.2500 0.5497 0.9503
O3 0.4503 0.0497 0.7500
O4 0.5497 0.9503 0.2500
O5 0.7500 0.4503 0.0497
O6 0.9503 0.2500 0.5497

----------
*/
_Here the entry continues_

“An ethnically diverse force with local elements leading the fight, the SDF conducted a highly effective, professional operation in a difficult urban area to free the city,” said coalition director of operations Brig. Gen. Jonathan Braga.

“They fought tenaciously and with courage against an unprincipled enemy, taking great care to move the population trapped by Daesh away from the battle area and minimize civilian casualties,” he said, using an Arabic name for ISIS.

US Secretary of State Rex Tillerson also congratulated the SDF and the Syrian people on the liberation of Raqqa.

“The United States is proud to lead the 73-member Global Coalition that supported this effort, which has seen ISIS’s so-called caliphate crumble across Iraq and Syria,” he said.

“Our work is far from over but the liberation of Raqqa is a critical milestone in the global fight against ISIS, and underscores the success of the ongoing international and Syrian effort to defeat these terrorists.”

Tillerson said the fall of Raqqa marked the beginning of a “new phase” in Syria, in which the US and its allies would seek to reduce violence and renew UN-backed diplomatic efforts. He added that US President Donald Trump had played a key role in pushing ISIS out of its stronghold.

“In January, ISIS was actively plotting terrorist attacks against our allies and our homeland in Raqqa. Nine short months later, it is out of ISIS’s control due to critical decisions President Trump made to accelerate the campaign,” he said.

Black flag hauled down

A sustained effort to retake the city began in early June, in an operation led by the SDF and supported by coalition air strikes.

The US-backed SDF announced the last phase of the operation at the weekend. ISIS finally lost control of the city on Tuesday, when the terror group’s black flag was hauled down from Raqqa’s stadium.

TaPb2Cl: optimized geometry, PBE-GGA.

The structure belongs to space group F-43m (No. 216); the cell edges are 7.335, 7.335 and 7.335 Å and the angles 90.00°, 90.00° and 90.00°. The asymmetric unit holds Ta at (0.000, 0.000, 0.000), Pb at (0.000, 0.000, 0.500), Pb at (0.250, 0.250, 0.750) and Cl at (0.250, 0.250, 0.250).

The value obtained for the total energy is -4.66 eV per atom. For the excess energy over the best structure of this formula in the dataset, the calculation gives 529 meV/atom. For the raw formation energy, the calculation gives 0.616 eV/atom.


TaPb2Cl: optimized geometry, PBE-GGA.

The structure belongs to space group Fm-3m (No. 225); the cell edges are 7.378, 7.378 and 7.378 Å and the angles 90.00°, 90.00° and 90.00°. The asymmetric unit holds Ta at (0.000, 0.000, 0.000), Pb at (0.250, 0.250, 0.250) and Cl at (0.000, 0.000, 0.500).

The value obtained for the total energy is -4.53 eV per atom. For the excess energy over the best structure of this formula in the dataset, the calculation gives 663 meV/atom. For the raw formation energy, the calculation gives 0.750 eV/atom.


TaPbCl3: optimized geometry, PBE-GGA.

The structure belongs to space group Pm-3m (No. 221); the cell edges are 4.932, 4.932 and 4.932 Å and the angles 90.00°, 90.00° and 90.00°. The asymmetric unit holds Ta at (0.000, 0.000, 0.000), Pb at (0.500, 0.500, 0.500) and Cl at (0.000, 0.000, 0.500).

The value obtained for the total energy is -4.41 eV per atom. For the excess energy over the best structure of this formula in the dataset, the calculation gives 0 meV/atom. For the raw formation energy, the calculation gives -0.194 eV/atom.


TaPb2Cl: optimized geometry, PBE-GGA.

The structure belongs to space group Pmmm (No. 47); the cell edges are 3.206, 4.763 and 6.168 Å and the angles 90.00°, 90.00° and 90.00°. The asymmetric unit holds Ta at (0.000, 0.000, 0.000), Pb at (0.500, 0.500, 0.245) and Cl at (0.000, 0.000, 0.500).

The value obtained for the total energy is -4.92 eV per atom. For the excess energy over the best structure of this formula in the dataset, the calculation gives 275 meV/atom. For the raw formation energy, the calculation gives 0.362 eV/atom.


TaPb2Cl: optimized geometry, PBE-GGA.

The structure belongs to space group Pmmm (No. 47); the cell edges are 3.201, 5.136 and 6.224 Å and the angles 90.00°, 90.00° and 90.00°. The asymmetric unit holds Ta at (0.000, 0.000, 0.000), Pb at (0.000, 0.500, 0.500), Pb at (0.500, 0.500, 0.000) and Cl at (0.500, 0.000, 0.500).

The value obtained for the total energy is -4.72 eV per atom. For the excess energy over the best structure of this formula in the dataset, the calculation gives 475 meV/atom. For the raw formation energy, the calculation gives 0.562 eV/atom.


Ta4PbCl: optimized geometry, PBE-GGA.
== End of the materials data ==

The SDF declared “major military operations” over, although pockets of resistance remained.

Seized in early 2014, Raqqa soon became the nerve center of the group’s sprawling bureaucracy. It also was the hub for planning overseas terror attacks — especially in France and Belgium — because so many foreign fighters called it home.

Now, it is a symbol of the terror group’s decline. ISIS controls only a small strip of territory along the Euphrates River in northern Syria.